On the OpenFlow Controllers
posted at July 31, 2013 with tags cpp, java, networking, openflow, python, sdn

TL;DR – Use Floodlight (Pythonistas might want to give POX a try) and keep an eye on OpenDaylight.

There has always been a confusion on which controller to start with for newcomers in the OpenFlow ecosystem. Should one prefer the classic NOX? Or go with a more modern choice like Beacon or its successor Floodlight? What about Ryu, Trema, and a dozen of other controllers in the wild? Ohh! I was just forgetting about OpenDaylight, which is backed by industry giants such as Cisco, Juniper, Brocade, IBM, etc. After all you just want to push a set of simple OpenFlow commands to the forwarding plane and observe the result. On the other hand, you are also concerned with the maturity of the environment that you will work with. Nobody wants to find himself scratching his head for a bug in the controller core. And I am pretty sure you will also question whether there is an ongoing active development and supportive community in the project or not. Lucky for you, I have volunteered to share my two cents on the issue. After two years of fighting in this mud up to my neck, I have something to say!

Let’s get this straight first: This survey investigates the existing free and open-source OpenFlow controllers in the wild from the point of view of a developer. I assume that what you look for is

  • clean code base (not a slick GUI or ground-breaking performance),
  • versatile core (not ad-hoc solutions like STP to common problems),
  • decent set of built-in components (e.g., device/switch query interface, access to topology, links and routing),
  • quick deployment cycle (i.e., it should take a few minutes to compile your changes and fire up the controller),
  • active development (i.e., presence of developers constantly contributing to the code base),
  • supportive community (e.g., once I had a reply to one of my questions in RRD4J mailing lists after 9 months), and
  • some documentation (not just a API reference).


It all began with NOX. While some might argue, NOX is the very first OpenFlow controller that attracted a whole lot of researchers around itself and achieved to have a wide acceptance. A majority of the primary Software-Defined Networking (SDN) and OpenFlow papers and applications are implemented on top of NOX. Even Google used NOX to build (prototype?) its own distributed OpenFlow controller, called ONIX. That being said, all that fuss was left in 2010. From then on the NOX mailing-lists are almost abandoned and no major changes that I know of is introduced to the code base.

nox-dev Mail List Activity

NOX is written in C++ and does not have a reputation for providing a developer-friendly environment. While rumors have that it ships a Python API, almost all the development is getting performed in C++. Another missing feature that I get shocked when I unfortunately figured out after days of debugging is that it does not support topologies with loops. (As a solution one can enable STP, but this approach contradicts with the essence of SDN. In addition, you are always free to implement your own routing module or modify the built-in one to overcome this shortcoming.) In terms of documentation, it is safe to say that there is almost no documentation. NOX is also shipped with a Python+QT based GUI. (One should note that a decent user interface is maybe the first feature that newcomers look in a controller. While your mileage might vary, I had never been in need of a GUI and a majority of the time you make your way out with Wireshark traces and controller logs, trust me.)


To sum up, NOX had its rise-and-fall. Personally, I would not recommend it to anybody for production and/or development purposes, especially considering the other decent alternatives in the market.


Hereby I confess that I have never programmed in POX before. I will present the following statements depending on (1) my experiences with other controllers and POX activity I observed in the OpenFlow social media and (2) the corrections from POX hacker Murphy McCauley.

# Materials data from another source follow
=====
First-principles (PBE) data for an optimized crystal structure of ZrTi2PdC, as listed in Alexandria via LeMat-Bulk.

Fermi-level density of states: 5.674 states/eV per cell
ΔH_f (0 K): -0.525 eV per atom

Cell lengths 4.1803, 4.1803, 4.5123 Å; angles 90.00, 90.00, 90.00 degrees
Last column: nearest neighbours and their distance in Å.
Fractional positions:
Zr1 0.0000 0.0000 0.0000  2 C 2.26
Ti1 0.0000 0.5000 0.5000  2 C 2.09
Ti2 0.5000 0.0000 0.5000  2 C 2.09
Pd1 0.5000 0.5000 0.0000  4 Zr 2.96, 8 Ti 3.08
C1 0.0000 0.0000 0.5000  4 Ti 2.09, 2 Zr 2.26

First-principles (PBE) data for an optimized crystal structure of AgRuO2, as listed in Alexandria via LeMat-Bulk.

Fermi-level density of states: 5.553 states/eV per cell
Formation energy (no corrections): -0.160 eV/atom

Cell lengths 5.7230, 5.7230, 5.7230 Å; angles 125.04, 125.04, 81.47 degrees
Last column: nearest neighbours and their distance in Å.
Fractional positions:
Ag1 0.0000 0.0000 0.0000  4 O 2.41
Ag2 0.7500 0.2500 0.5000  4 O 2.41
Ru1 0.2500 0.7500 0.5000  4 O 1.95
Ru2 0.5000 0.5000 0.0000  4 O 1.95
O1 0.1971 0.6250 0.0721  2 Ru 1.95
O2 0.3750 0.4471 0.5721  2 Ru 1.95
O3 0.5529 0.1250 0.9279  2 Ru 1.95
O4 0.8750 0.8029 0.4279  2 Ru 1.95

First-principles (PBE) data for an optimized crystal structure of ZnAg14Ge, as listed in Alexandria via LeMat-Bulk.

Fermi-level density of states: 6.126 states/eV per cell
ΔH_f (0 K): 0.048 eV per atom

Cell lengths 9.4984, 5.8220, 5.8220 Å; angles 61.84, 90.00, 90.00 degrees
Last column: nearest neighbours and their distance in Å.
Fractional positions:
Zn1 0.0000 0.0000 0.0000  10 Ag 2.87-2.93, 2 Ge 2.99
Ag1 0.0000 0.0029 0.5020  2 Zn 2.89-2.93, 8 Ag 2.90-3.00, 2 Ge 2.91
Ag2 0.0000 0.5020 0.0029  2 Zn 2.89-2.93, 8 Ag 2.90-3.00, 2 Ge 2.91
Ag3 0.2453 0.3255 0.8301  1 Zn 2.87, 1 Ge 2.88, 10 Ag 2.89-3.02
Ag4 0.2453 0.8301 0.3255  1 Zn 2.87, 1 Ge 2.88, 10 Ag 2.89-3.02
Ag5 0.2488 0.8295 0.8295  11 Ag 2.89-2.99, 1 Zn 2.91
Ag6 0.2518 0.3287 0.3287  11 Ag 2.90-2.99, 1 Ge 2.95
Ag7 0.5000 0.1569 0.1569  12 Ag 2.90-2.99
Ag8 0.5000 0.1572 0.6586  12 Ag 2.90-3.00
Ag9 0.5000 0.6564 0.6564  12 Ag 2.90-2.99
Ag10 0.5000 0.6586 0.1572  12 Ag 2.90-3.00
Ag11 0.7482 0.3287 0.3287  11 Ag 2.90-2.99, 1 Ge 2.95
Ag12 0.7512 0.8295 0.8295  11 Ag 2.89-2.99, 1 Zn 2.91
Ag13 0.7547 0.3255 0.8301  1 Zn 2.87, 1 Ge 2.88, 10 Ag 2.89-3.02
Ag14 0.7547 0.8301 0.3255  1 Zn 2.87, 1 Ge 2.88, 10 Ag 2.89-3.02
Ge1 0.0000 0.5022 0.5022  10 Ag 2.88-2.95, 2 Zn 2.99

First-principles (PBE) data for an optimized crystal structure of Cu2Sn2Ge, as listed in Alexandria via LeMat-Bulk.

Fermi-level density of states: 2.101 states/eV per cell
ΔH_f (0 K): 0.183 eV per atom
Energy relative to the lowest polymorph listed for this composition: 35 meV/atom

Cell lengths 8.3803, 8.3803, 8.3803 Å; angles 155.75, 155.75, 34.56 degrees
Last column: nearest neighbours and their distance in Å.
Fractional positions:
Cu1 0.2500 0.7500 0.5000  4 Cu 2.49
Cu2 0.7500 0.2500 0.5000  4 Cu 2.49
=====

POX calls itself as the younger sibling of NOX. (They are both managed/maintained by the same team/organization.) My personal belief is that POX is more or less motivated by the purpose of creating a developer-friendly OpenFlow controller successor to the NOX. Almost all OpenFlow newcomers are directed to either POX or Floodlight. Hence, it is no surprise that it has a pretty active mailing list. POX provides a limited web API (via JSON-RPC) and a moderate sized collection of manuals on its wiki. It is written in Python and provides a decent Python API for the Pythonistas out there. Due to Python being an interpreted language, POX really cuts down the time spent in develop-and-deploy cycle, particularly compared to C++ based NOX. Further, in addition to supporting the NOX GUI, POX also provides a web-based GUI.


If Python is your main language of choice, then you are safe to experiment with POX. If you care about maturity and want to deploy your system in production, or the programming language does not matter much for you (that is, either you are a total programming newbie or have the same knowledge level on both Python and Java) I recommend you to evaluate the Java alternatives.


When I first started controller programming with NOX, there was no documentation, no consistency in the code base, nothing was compiling or working without manual intervention. Despite the fact that I have some significant experience with C/C++ and Linux, I could not understand what the controller was actually doing behind. Even making the routing module work was a quite painful experience. Then came Beacon. You clone the repository, import the project into Eclipse, and hit the run button. It was all that simple. You have just changed something in the code? Hit the run again and here you go. It even has a getting started tutorial and video on its website and it was working. (It is very rare to see working tutorials in the research world.) Further, it has a forum, where David Erickson, the author of Beacon, himself replies you back promptly. What could a developer want more? But that was not all there. The code was written in a very a simple and expressive style. You just look at the names of the classes, modules, functions and you get the whole picture. You don’t need to be a programming prodigy just to push a simple flow. So you need to get the network topology? See topology module, checked. You need the attachment point of a device, see devicemanager, checked. You need to observe link states, see linkdiscovery, checked. You need a hub, see hub. You need a learning switch, see learningswitch. You need the shortest path between two switches, see routing. It was all falling into place. Finally, there was a controller where you can focus on programming, instead of wasting your time on compilation and library issues. I do not even mention about what a relief it felt was to program in an IDE, instead of using a text editor to modify a gigantic code base you have zero knowledge of. Ahh… And it was the first controller that ships with a built-in web user-interface. (The UI was so superior to the alternatives that I think it is still the best out there – I did not had a chance to test the web UI of OpenDaylight.)

In my humble opinion, David Erickson is the programmer who founded the fundamental software design patterns that are necessary for an SDN controller. His design choices affected all the other controller software out there in the wild written after Beacon and they all used more or less the same patterns. Some might argue that those patterns were obvious and the market would eventually converge to them at some point. But looking back at the controllers before Beacon, it was really a huge step forward and David Erickson is the name behind this leap.

Being written in Java was a game changing feature for Beacon. On the other hand, Beacon is so tightly bound to Eclipse such that even it does support Maven, I had never managed to make it work with IntelliJ IDEA or compile manually with Maven. In addition, Eclipse toolbox helps you to export the controller as a single executable binary, but (due to a bug in Eclipse launcher) it requires GTK libraries to run, which is non-sense for a console application. (For instance, the launcher tries to pop up a GTK warning window for a missing JAVA_CONSOLE environment variable, but since you are in console, you just see a lousy stack trace of the failed GTK call.) Further, OSGi had its own hard to debug, subtle sensitivities and steep learning curve. (That being said, OSGi helps you to restart the bundles individually, which once I used to provide fault-tolerance in a distributed controller I implemented.) Beacon also could not handle topologies with loops or devices with multiple attachment points, that is, a device reachable by multiple switch ports. And it is disappointing to say that it didn’t have a feature update since years.

To sum up, Beacon provides a compact and expressive code base and works flawlessly. That being said, Eclipse and OSGi dependency really kills me and supporting only star topologies (that is, topologies without loops) is very constraining. If you are about to give Beacon a try, I would recommend you to evaluate Floodlight instead.


When I first heard of BigSwitch Networks announce their fork of Beacon, called Floodlight, I checked out the repository, casted an eye on it for 10 minutes, and concluded that it is almost the same code base. Months passed by, I had been bitten many times by gotchas found in Beacon (e.g., topologies with loops, devices appearing in multiple attachment points, etc.) and decided to give Floodlight another try. Good lord! In months Floodlight became the most prolific and feature rich F/OSS controller upto its time. Besides supporting topologies with loops, non-OpenFlow domains, and multiple device attachment points, it even introduced lots of other features that I had never imagined of for a software-defined network. Further, it is built with Apache Ant (Yay! Now I can use IntelliJ IDEA!) that lets you easily export JARs and replaces OSGi with a custom, Java-based, simple module loading system. While these two features would not mean much to Beacon foreigners, this was really something. (The custom module system does provide no stop, restart and reload capabilities, but if they were so inevitable for you, you can easily tailor the existing system to fit your needs.) Floodlight has unquestionably the most active and responsive community among the F/OSS OpenFlow softwares. A majority of the Floodlight developers working in BigSwitch Networks directly participate in the mailing-lists. You can find yourself discussing an issue with the actual developer(s) of a particular module. I have never witnessed neither an unanswered question, nor an unresolved problem. It was truly a supportive and active community. Floodlight exposes almost all of its functionality through a REST API and there exists many handy utilities for common tasks such as static routes and end-to-end route (circuit) pushes. Floodlight has a web-based UI (contributed by Wes Felter) and a Java-based GUI, called Avior, contributed by Jason Parraga. One of its kind, Floodlight can also be run as network backend for OpenStack using a Quantum plug-in. Finally, it is the most documented controller project out there in the ecosystem.

Floodlight Web-based UI


When I look back at the Beacon code base, it was written in a succint and expressive style, which makes it easy to grasp the logic at a single glance. This compactness also comes from the fact that Beacon does not provide as much feature as Floodlight does. On the other hand, Floodlight has so many enhancements and compatibility layers for different kind of hardware and corner cases that the code base is, to put it mildly, polluted and a couple of its components needs a rewrite from scratch. But these are generally concerns from a software architectural point of view and probably does not bother 90% of its users. In addition, while I have never been in need of one, I must admit that Floodlight web-based UI has some serious bugs and neither web-based UI, nor Java-based UI is officially supported by the BigSwitch Networks.

All in all, Floodlight is the most mature OpenFlow F/OSS controller in the market that I know of and my concerns about the code base will probably never be a problem for a majority of its users. It just runs out of the box, has a smooth work flow, supportive community, and works without a glitch for almost all real-world cases. Floodlight is the controller that I would recommend to anybody who wants to write custom control plane applications.


OpenDaylight is an industry-supported Linux Foundation project. While I have never used it in practice, in my observations throughout the code, I found its code base clearer compared to Floodlight (that is, more idiomatic class hierarchy and naming conventions, consistent coding style, less if (isWorking() == true) ... stuff) and more or less provides a similar feature set (that is, a majority of the modules are in common) – there are even some OpenDaylight features that are not present in Floodlight (for instance, support for multiple islands with loops). At the beginning stages of the project, board members favored the controller code contributed by Cisco to the Floodlight-based contribution of BigSwitch Networks, which consequently followed by BigSwitch Networks stepping down from the platinium status. When you look at the mailing list activity, you can also easily observe the domination of Cisco developers. Further, OpenDaylight follows a controller model that, in addition to OpenFlow, alternative south-bound protocols can be introduced. This facet significantly differs OpenDaylight from the other controllers and lets you use switches employing non-OpenFlow proprietary control protocols. Much can be said about OpenDaylight, but in my humble opinion it is still in the early development stages. That being said, developers should certainly keep an eye on it.

Feature Matrix

Before concluding the post, here I present a feature matrix for the controllers discussed.

Feature NOX POX Beacon Floodlight OpenDaylight
Language(s) the controller is written in C++ Python Java Java Java
Language(s) supported by the controller C, C++, Python Python Java Java, Python Java
Is actively developed? N Y maintained Y Y
Has an active community? N Y Y Y Y
Easy to install? N Y Y Y Y
Easy to program? N Y Y Y Y
Is documented? N Y Y Y some
Provides a REST API? N Y (limited) Y Y Y
Have utility functions? N N N Y N
Has a UI? Python+QT4 Python+QT4, Web Web Java, Web Web
Supports hosts with multiple attachment points? N N N Y Y
Supports topologies with loops? N Y (via spanning_tree component) N Y Y
Supports non-OF island connections? N N N Y Y
Supports OF island connections with loops? N N N N Y
Provides an abstraction layer above south-bound protocols? N N N N Y
Supports OpenStack Quantum? N N N Y Y


To sum it all together, I find Floodlight the most viable controller in the ecosystem as of now. That being said, after Murphy McCauley’s corrections, I also realized that POX has made a certain amount of progress on improving its documentation and components, hence can be a viable option for Pythonistas. While other alternatives can be tailored to fit your needs, this or that way as your project nears to finalize, you start to look for stability and being bitten by some odd limitations of the controllers starts to be quite annoying. Considering the huge amount of time that you will devote for learning a controller, try to aim your shot to the best candidate as much as possible. And we will together see how far will OpenDaylight go in the future.

........
[1]
{"formula": "LiZr2N3", "functional": "GGA-PBEsol", "state": "relaxed", "lattice": [[-3.6396, -0.2820, 2.3959], [3.6214, -0.9179, 5.3933], [-1.6721, 6.0761, -1.8249]], "species": ["N", "N", "N", "N", "N", "N", "Zr", "Zr", "Zr", "Zr", "Li", "Li"], "frac_coords": [[0.2500, 0.0330, 0.6694], [0.7500, 0.9670, 0.3306], [0.7500, 0.3306, 0.9670], [0.2500, 0.6694, 0.0330], [0.7500, 0.6854, 0.6854], [0.2500, 0.3146, 0.3146], [0.7500, 0.9806, 0.6631], [0.2500, 0.0194, 0.3369], [0.7500, 0.6631, 0.9806], [0.2500, 0.3369, 0.0194], [0.2500, 0.6343, 0.6343], [0.7500, 0.3657, 0.3657]], "dft_energy_ev_per_cell": -109.553, "e_form_raw_kj_per_mol_atoms": -145.5, "crystal_system": "orthorhombic", "magnetic_moment_mub_per_cell": 0.0, "space_group": "Cmcm"}

=====

[2]
{"formula": "Na2LiNb2", "functional": "GGA-PBEsol", "state": "relaxed", "lattice": [[3.8963, 0.0000, 0.0000], [0.0000, 3.8963, 0.0000], [-1.9481, -1.9481, 7.4423]], "species": ["Li", "Na", "Na", "Nb", "Nb"], "frac_coords": [[0.0000, 0.0000, 0.0000], [0.2500, 0.7500, 0.5000], [0.7500, 0.2500, 0.5000], [0.5720, 0.5720, 0.1440], [0.4280, 0.4280, 0.8560]], "dft_energy_ev_per_cell": -21.216, "ef_mev_per_atom": 1039, "crystal_system": "tetragonal", "magnetic_moment_mub_per_cell": 0.0, "space_group": "I4/mmm"}

=====

[3]
{"formula": "RbNaLi2Nb", "functional": "GGA-PBEsol", "state": "relaxed", "lattice": [[5.6766, 0.0000, 0.0000], [0.0000, 5.6766, 0.0000], [0.0000, 0.0000, 6.0150]], "species": ["Rb", "Na", "Li", "Li", "Nb"], "frac_coords": [[0.0000, 0.0000, 0.0000], [0.5000, 0.5000, 0.5000], [0.0000, 0.5000, 0.0000], [0.5000, 0.0000, 0.0000], [0.0000, 0.0000, 0.5000]], "dft_energy_ev_per_cell": -9.502, "ef_mev_per_atom": 1535, "crystal_system": "tetragonal", "magnetic_moment_mub_per_cell": 4.8, "space_group": "P4/mmm"}

=====

[4]
{"formula": "NaLi2TaNb", "functional": "GGA-PBEsol", "state": "relaxed", "lattice": [[-0.2897, 3.9466, 2.4483], [-4.4064, -1.0088, 1.1047], [1.5664, -2.4009, 4.0555]], "species": ["Ta", "Nb", "Li", "Li", "Na"], "frac_coords": [[0.5000, 0.5000, 0.5000], [0.0000, 0.0000, 0.0000], [0.5000, 0.0000, 0.0000], [0.0000, 0.5000, 0.0000], [0.0000, 0.0000, 0.5000]], "dft_energy_ev_per_cell": -17.898, "ef_mev_per_atom": 2161, "crystal_system": "tetragonal", "magnetic_moment_mub_per_cell": 1.0, "space_group": "P4/mmm"}

=====

[5]
{"formula": "Na2Li2Ni", "functional": "GGA-PBEsol", "state": "relaxed", "lattice": [[4.3705, 0.0000, 0.0000], [0.0000, 7.0247, 0.0000], [0.0000, 0.0000, 7.0247]], "species": ["Ni", "Ni", "Li", "Li", "Li", "Li", "Na", "Na", "Na", "Na"], "frac_coords": [[0.0000, 0.5000, 0.5000], [0.0000, 0.0000, 0.0000], [0.5000, 0.3149, 0.1851], [0.5000, 0.8149, 0.3149], [0.5000, 0.1851, 0.6851], [0.5000, 0.6851, 0.8149], [0.0000, 0.6430, 0.1430], [0.0000, 0.3570, 0.8570], [0.0000, 0.1430, 0.3570], [0.0000, 0.8570, 0.6430]], "dft_energy_ev_per_cell": -20.612, "ef_mev_per_atom": 517, "crystal_system": "tetragonal", "magnetic_moment_mub_per_cell": 0.0, "space_group": "P4/mbm"}

=====
........


I would like to thank David Erickson, Jason Parraga and Murphy McCauley for their corrections.